Load and manage csv file for machine learning purposes
CSV Loader in Typescript
This package allow to manage the content of the .csv files that are then used for machine learning purposes later on.
How to use it
Imagine having a .csv file called cars.csv for which further analysis must be performed on a machine learning application. 👨💻
Sample file [cars.csv]
FALSE,18,8,307,130,1.752,12,70,chevrolet chevelle malibu
FALSE,15,8,350,165,1.8465,11.5,70,buick skylark 320
FALSE,18,8,318,150,1.718,11,70,plymouth satellite
FALSE,16,8,304,150,1.7165,12,70,amc rebel sst
FALSE,17,8,302,140,1.7245,10.5,70,ford torino
FALSE,15,8,429,198,2.1705,10,70,ford galaxie 500
FALSE,14,8,454,220,2.177,9,70,chevrolet impala
FALSE,14,8,440,215,2.156,8.5,70,plymouth fury iii
FALSE,14,8,455,225,2.2125,10,70,pontiac catalina
FALSE,15,8,390,190,1.925,8.5,70,amc ambassador dpl
Options ⚙️
Before to load the file it is important to decide which actions are needed to the data source before to be able to use it for further analysis.
const options: Options = {
dataColumns: ['mpg'],
labelColumns: ['horsepower'],
converters: {},
shuffle: false,
splitTest: 0.1,
Let's talk about the meaning of each option:
- dataColumns: This is an array that contains the list of the columns that are taken into account for further analysis (like features columns);
- labelColumns: This is an array that contains the list of the columns that are taken into account as the target columns for further analysis;
- converters: This is a dictionary of values pairs where the key is a column name and the value is a function that will be activated for each value in the column represented by the key. More detail in the next paragraph.
- shuffle: is a boolean. If true the data inside the dataset will be shuffled;
- splitTest: Represent, in percentage, the subset of the dataset that will be used as test data. The possible values are in the range 0.0 (no test data) to 1.0 (all dataset is used as test data) with intervals of 0.1. For example 0.1, 0.2 .. and so on. The meaning of the values are the percentage that will be taken for example 0.1 = 10%.
Converters 🔬
Converters is a dictionary that could be used to provide some dedicated actions to the specific column data based on the name of the column that will be used as a key.
converters: {
mpg: (mpg: Value) => {
return mpg2kml(mpg);
This specific converter, for example, is converting from Miles Per Gallon (mpg) to Kilometres Per Litre.
This is the function used from this converter when the data of the column mpg is parsed from the csv-loader
function mpg2kml(mpg: Value): number {
if (typeof mpg !== 'number') {
mpg = parseFloat(mpg.replace('"', ''));
const kml = mpg * 0.425144;
return kml;
Full Example
Here is reported the full example written in the index.ts file that show a possible use of this library. 🚀
import { CSVManager, Options, DataSet, DataModel, Value } from './CSVManager';
(These data records were left in the entry by mistake)
<<<
Below is a geometry-optimized Sr3Cd3Ag structure, with properties calculated at the PBE level.

Cell lengths 6.4911, 6.4911, 16.4978 Å; angles 107.94, 107.94, 44.28 degrees
Fractional positions:
Sr  0.0372  0.0372  0.3876
Sr  0.1074  0.1074  0.9218
Sr  0.2494  0.2494  0.2350
Sr  0.7506  0.7506  0.7650
Sr  0.8926  0.8926  0.0782
Sr  0.9628  0.9628  0.6124
Cd  0.3630  0.3630  0.4587
Cd  0.3934  0.3934  0.9221
Cd  0.4615  0.4615  0.7642
Cd  0.5385  0.5385  0.2358
Cd  0.6066  0.6066  0.0779
Cd  0.6370  0.6370  0.5413
Ag  0.2566  0.2566  0.6077
Ag  0.7434  0.7434  0.3923

Properties
Calculated formation energy   -2.1 eV per formula unit
Crystal system   monoclinic
Space group   C2/m
Magnetization   0.000 μB per cell


(1)
NaNdYSn: relaxed, PBE.

Lattice parameters (Å, degrees): 5.417 5.417 5.417 60.00 60.00 60.00
Atoms (fractional coordinates):
Nd 0.500 0.500 0.500
Na 0.750 0.750 0.750
Sn 0.250 0.250 0.250
Y 0.000 0.000 0.000

Summary:
- total magnetization (μB per atom) = 0.026
- energy (eV for the cell shown) = -17.8
- density of states at the Fermi level (states/eV/cell) = 3.45
- crystal system = cubic

(2)
PmGdGaOs: relaxed, PBE.

Lattice parameters (Å, degrees): 5.018 5.018 5.018 60.00 60.00 60.00
Atoms (fractional coordinates):
Pm 0.500 0.500 0.500
Os 0.250 0.250 0.250
Ga 0.750 0.750 0.750
Gd 0.000 0.000 0.000

Summary:
- total magnetization (μB per atom) = 1.744
- energy (eV for the cell shown) = -34.1
- density of states at the Fermi level (states/eV/cell) = 2.62
- crystal system = cubic

(3)
MoAsAu: relaxed, PBE.

Lattice parameters (Å, degrees): 4.380 4.380 4.380 60.00 60.00 60.00
Atoms (fractional coordinates):
As 0.000 0.000 0.000
Au 0.500 0.500 0.500
Mo 0.750 0.750 0.750

Summary:
- total magnetization (μB per atom) = 0.415
- density of states at the Fermi level (states/eV/cell) = 1.54
- E above lowest polymorph (meV per atom) = 185
- crystal system = cubic


(1)
PmMg2 | PBE | optimized geometry

Summary:
* offset from the most stable computed form: 0.000 eV/atom
* E_form: -0.10 eV per atom
* total energy: -2.7481 eV/atom

Lattice parameters (Å, degrees): 8.6452 8.6452 8.6452 90.00 90.00 90.00
Space group Fd-3m (No. 227, origin choice 2)
Inequivalent atoms, fractional coordinates:
Pm  0.1250  0.1250  0.1250
Mg  0.0000  0.0000  0.5000


(2)
Pm2Mg | PBE | optimized geometry

Summary:
* offset from the most stable computed form: 0.350 eV/atom
* E_form: 0.29 eV per atom
* total energy: -3.4111 eV/atom

Lattice parameters (Å, degrees): 9.2405 9.2405 9.2405 90.00 90.00 90.00
Space group Fd-3m (No. 227, origin choice 2)
Inequivalent atoms, fractional coordinates:
Pm  0.0000  0.0000  0.0000
Mg  0.1250  0.1250  0.6250


(3)
PmMg3 | PBE | optimized geometry

Summary:
* E_form: -0.07 eV per atom
* total energy: -2.4538 eV/atom

Lattice parameters (Å, degrees): 4.7385 4.7385 4.7385 90.00 90.00 90.00
Space group Pm-3m (No. 221)
Inequivalent atoms, fractional coordinates:
Pm  0.0000  0.0000  0.0000
Mg  0.0000  0.5000  0.5000


(4)
>>>
(The entry goes on)
// Converters
function sqFoots2sqMetres(sqrareFoot: Value): number {
if (typeof sqrareFoot !== 'number') {
sqrareFoot = parseFloat(sqrareFoot.replace('"', ''));
const squareMeters = sqrareFoot * 0.092903;
return squareMeters;
// Options
const options: Options = {
dataColumns: ['lat', 'long', 'sqft_living'],
labelColumns: ['price'],
converters: {
sqft_living: (sqft_living: Value) => {
return sqFoots2sqMetres(sqft_living);
shuffle: false,
splitTest: 0.1,
// Data Management
const csvManager = new CSVManager('../csv/example.csv', options);
const dataSet = csvManager.loadCSV();
The cars.csv file is stored into a folder called /csv/. Once that the CSVManager is created and the path of the csv file is defined as well as its options, the result is stored into the dataSet constant.
The dataSet has four elements representing the test labels, the test features, the labels and the features of the initially given cars.csv file.
Now this elements can be used for further machine learning analysis. 🎉
Happy hacking 🙌